## Data
/*
# 1
## Ac3Cr (PBE)

Data for crystalline Ac3Cr at its relaxed geometry. Values from VASP.

Properties
Calculated formation energy ... 43.5 kJ per mole of atoms
Final energy ... -5.05 eV/atom
Magnetization ... 3.6 μB/f.u.
Calculated density ... 8.1 g cm⁻³

```
&SYSTEM
  ibrav = 0, nat = 4, ntyp = 2
/
ATOMIC_SPECIES
Ac 227.00 Ac.upf
Cr 52.00 Cr.upf
CELL_PARAMETERS angstrom
-1.458 -4.057 3.115
-2.482 -2.271 -4.119
4.472 -2.583 -1.271
ATOMIC_POSITIONS angstrom
Ac 1.507 -3.320 0.922
Ac 0.995 -2.427 -2.695
Ac -1.970 -3.164 -0.502
Cr 0.000 0.000 0.000
```

# 2
## ErNiB4 (PBE)

Data for crystalline ErNiB4 at its relaxed geometry. Values from VASP.

Properties
Calculated formation energy ... -53.6 kJ per mole of atoms
Final energy ... -6.73 eV/atom
Offset from the most stable computed form ... 22 meV/atom
Magnetization ... 0.0 μB/f.u.
Calculated density ... 7.9 g cm⁻³

```
&SYSTEM
  ibrav = 0, nat = 24, ntyp = 3
/
ATOMIC_SPECIES
B 10.81 B.upf
Ni 58.69 Ni.upf
Er 167.26 Er.upf
CELL_PARAMETERS angstrom
-2.736 0.295 1.984
-3.437 0.119 -4.757
-0.938 -11.350 0.393
ATOMIC_POSITIONS angstrom
B -2.271 -6.053 0.668
B -2.741 -0.346 -0.829
B -2.642 -3.394 -0.239
B -3.918 -8.964 -1.171
B -4.239 -1.858 -2.669
B -4.059 -5.827 -1.832
B -4.369 -10.590 -1.552
B -4.468 -7.542 -2.141
B -3.192 -1.972 -1.209
B -3.051 -5.109 -0.549
B -2.872 -9.078 0.289
B -2.090 -7.701 1.162
B -4.839 -4.883 -3.048
B -4.363 -0.125 -3.098
B -2.748 -10.811 0.718
B -5.020 -3.235 -3.542
Ni -2.113 -10.305 -1.383
Ni -0.846 -4.658 -0.475
Ni -3.528 -6.573 -3.889
Ni -2.261 -0.926 -2.981
Er -1.891 -7.337 -1.518
Er -2.484 -3.894 -2.846
Er -3.797 -9.540 -3.818
Er -0.578 -1.691 -0.546
```

# 3
## KO2 (PBE)

Data for crystalline KO2 at its relaxed geometry. Values from VASP.

Properties
Calculated formation energy ... -90.9 kJ per mole of atoms
Final energy ... -4.50 eV/atom
Offset from the most stable computed form ... 45 meV/atom
Magnetization ... 1.0 μB/f.u.
Calculated density ... 2.0 g cm⁻³

```
&SYSTEM
  ibrav = 0, nat = 12, ntyp = 2
/
ATOMIC_SPECIES
O 16.00 O.upf
K 39.10 K.upf
CELL_PARAMETERS angstrom
-3.051 4.451 3.061
-5.330 -3.053 -0.873
0.880 -3.060 5.325
ATOMIC_POSITIONS angstrom
O -2.368 -4.305 4.690
O -4.802 -3.917 1.702
O -6.656 -0.547 1.241
O -3.278 -0.726 3.283
O -4.223 -0.935 4.230
O -0.844 -1.114 6.272
O -5.132 2.644 2.822
O -2.699 2.255 5.811
K -4.190 0.699 1.094
K -1.085 0.696 4.193
K 0.000 0.000 0.000
K -2.225 -3.056 2.226
```

# 4
## CeTm4S7 (PBE)

Data for crystalline CeTm4S7 at its relaxed geometry. Values from VASP.

Properties
Calculated formation energy ... -222.4 kJ per mole of atoms
Final energy ... -6.41 eV/atom
Magnetization ... 1.3 μB/f.u.
Calculated density ... 6.3 g cm⁻³

```
&SYSTEM
  ibrav = 0, nat = 12, ntyp = 3
/
ATOMIC_SPECIES
S 32.06 S.upf
Tm 168.93 Tm.upf
Ce 140.12 Ce.upf
CELL_PARAMETERS angstrom
0.001 -3.919 5.463
2.989 -4.981 3.385
7.099 5.476 7.411
ATOMIC_POSITIONS angstrom
S 3.224 -0.322 4.801
S 8.710 -0.672 12.868
S 1.611 0.739 1.940
S 5.095 -1.735 8.213
S 6.853 -2.972 11.373
S 1.377 -2.771 3.396
S 8.441 -4.226 14.298
Tm 3.413 -5.201 7.566
Tm 4.468 2.167 5.318
Tm 7.084 5.461 7.396
Tm 6.672 1.767 8.692
Ce 5.642 -5.589 10.969
```

* * * * *

ZnGeN2 | PBE | relaxed

Output
E_form, eV/atom: -0.30
Final energy, eV per cell: -92.21

abc: 6.449 5.524 5.550
angles: 88.70 90.00 90.00
Positions (direct):
Zn  0.133  0.406  0.324
Zn  0.367  0.906  0.324
Zn  0.867  0.594  0.676
Zn  0.633  0.094  0.676
N  0.622  0.424  0.822
N  0.853  0.601  0.297
N  0.647  0.101  0.297
N  0.122  0.076  0.178
N  0.353  0.899  0.703
N  0.878  0.924  0.822
N  0.147  0.399  0.703
N  0.378  0.576  0.178
Ge  0.137  0.084  0.833
Ge  0.363  0.584  0.833
Ge  0.863  0.916  0.167
Ge  0.637  0.416  0.167

* * * * *

No. 1
Li2MnSi3O8, optimized geometry, DFT PBE with a Hubbard U; largest piezoelectric modulus = 1.04 C/m2; size of the total moment = 0.000 Bohr magnetons per cell; relative energy among the computed polymorphs = 0 meV per atom
1.0
-2.185 4.519 3.989
2.189 -4.424 3.919
*/

## Exercise
Now echo everything above with every line break kept.

## Outcome
# 1
## Ac3Cr (PBE)

Data for crystalline Ac3Cr at its relaxed geometry. Values from VASP.

Properties
Calculated formation energy ... 43.5 kJ per mole of atoms
Final energy ... -5.05 eV/atom
Magnetization ... 3.6 μB/f.u.
Calculated density ... 8.1 g cm⁻³

```
&SYSTEM
  ibrav = 0, nat = 4, ntyp = 2
/
ATOMIC_SPECIES
Ac 227.00 Ac.upf
Cr 52.00 Cr.upf
CELL_PARAMETERS angstrom
-1.458 -4.057 3.115
-2.482 -2.271 -4.119
4.472 -2.583 -1.271
ATOMIC_POSITIONS angstrom
Ac 1.507 -3.320 0.922
Ac 0.995 -2.427 -2.695
Ac -1.970 -3.164 -0.502
Cr 0.000 0.000 0.000
```

# 2
## ErNiB4 (PBE)

Data for crystalline ErNiB4 at its relaxed geometry. Values from VASP.

Properties
Calculated formation energy ... -53.6 kJ per mole of atoms
Final energy ... -6.73 eV/atom
Offset from the most stable computed form ... 22 meV/atom
Magnetization ... 0.0 μB/f.u.
Calculated density ... 7.9 g cm⁻³

```
&SYSTEM
  ibrav = 0, nat = 24, ntyp = 3
/
ATOMIC_SPECIES
B 10.81 B.upf
Ni 58.69 Ni.upf
Er 167.26 Er.upf
CELL_PARAMETERS angstrom
-2.736 0.295 1.984
-3.437 0.119 -4.757
-0.938 -11.350 0.393
ATOMIC_POSITIONS angstrom
B -2.271 -6.053 0.668
B -2.741 -0.346 -0.829
B -2.642 -3.394 -0.239
B -3.918 -8.964 -1.171
B -4.239 -1.858 -2.669
B -4.059 -5.827 -1.832
B -4.369 -10.590 -1.552
B -4.468 -7.542 -2.141
B -3.192 -1.972 -1.209
B -3.051 -5.109 -0.549
B -2.872 -9.078 0.289
B -2.090 -7.701 1.162
B -4.839 -4.883 -3.048
B -4.363 -0.125 -3.098
B -2.748 -10.811 0.718
B -5.020 -3.235 -3.542
Ni -2.113 -10.305 -1.383
Ni -0.846 -4.658 -0.475
Ni -3.528 -6.573 -3.889
Ni -2.261 -0.926 -2.981
Er -1.891 -7.337 -1.518
Er -2.484 -3.894 -2.846
Er -3.797 -9.540 -3.818
Er -0.578 -1.691 -0.546
```

# 3
## KO2 (PBE)

Data for crystalline KO2 at its relaxed geometry. Values from VASP.

Properties
Calculated formation energy ... -90.9 kJ per mole of atoms
Final energy ... -4.50 eV/atom
Offset from the most stable computed form ... 45 meV/atom
Magnetization ... 1.0 μB/f.u.
Calculated density ... 2.0 g cm⁻³

```
&SYSTEM
  ibrav = 0, nat = 12, ntyp = 2
/
ATOMIC_SPECIES
O 16.00 O.upf
K 39.10 K.upf
CELL_PARAMETERS angstrom
-3.051 4.451 3.061
-5.330 -3.053 -0.873
0.880 -3.060 5.325
ATOMIC_POSITIONS angstrom
O -2.368 -4.305 4.690
O -4.802 -3.917 1.702
O -6.656 -0.547 1.241
O -3.278 -0.726 3.283
O -4.223 -0.935 4.230
O -0.844 -1.114 6.272
O -5.132 2.644 2.822
O -2.699 2.255 5.811
K -4.190 0.699 1.094
K -1.085 0.696 4.193
K 0.000 0.000 0.000
K -2.225 -3.056 2.226
```

# 4
## CeTm4S7 (PBE)

Data for crystalline CeTm4S7 at its relaxed geometry. Values from VASP.

Properties
Calculated formation energy ... -222.4 kJ per mole of atoms
Final energy ... -6.41 eV/atom
Magnetization ... 1.3 μB/f.u.
Calculated density ... 6.3 g cm⁻³

```
&SYSTEM
  ibrav = 0, nat = 12, ntyp = 3
/
ATOMIC_SPECIES
S 32.06 S.upf
Tm 168.93 Tm.upf
Ce 140.12 Ce.upf
CELL_PARAMETERS angstrom
0.001 -3.919 5.463
2.989 -4.981 3.385
7.099 5.476 7.411
ATOMIC_POSITIONS angstrom
S 3.224 -0.322 4.801
S 8.710 -0.672 12.868
S 1.611 0.739 1.940
S 5.095 -1.735 8.213
S 6.853 -2.972 11.373
S 1.377 -2.771 3.396
S 8.441 -4.226 14.298
Tm 3.413 -5.201 7.566
Tm 4.468 2.167 5.318
Tm 7.084 5.461 7.396
Tm 6.672 1.767 8.692
Ce 5.642 -5.589 10.969
```

* * * * *

ZnGeN2 | PBE | relaxed

Output
E_form, eV/atom: -0.30
Final energy, eV per cell: -92.21

abc: 6.449 5.524 5.550
angles: 88.70 90.00 90.00
Positions (direct):
Zn  0.133  0.406  0.324
Zn  0.367  0.906  0.324
Zn  0.867  0.594  0.676
Zn  0.633  0.094  0.676
N  0.622  0.424  0.822
N  0.853  0.601  0.297
N  0.647  0.101  0.297
N  0.122  0.076  0.178
N  0.353  0.899  0.703
N  0.878  0.924  0.822
N  0.147  0.399  0.703
N  0.378  0.576  0.178
Ge  0.137  0.084  0.833
Ge  0.363  0.584  0.833
Ge  0.863  0.916  0.167
Ge  0.637  0.416  0.167

* * * * *

No. 1
Li2MnSi3O8, optimized geometry, DFT PBE with a Hubbard U; largest piezoelectric modulus = 1.04 C/m2; size of the total moment = 0.000 Bohr magnetons per cell; relative energy among the computed polymorphs = 0 meV per atom
1.0
-2.185 4.519 3.989
2.189 -4.424 3.919